-- Brief --
Could you search the contents below for the word "Data" and repeat each line that has it?

-- Excerpt --
┌──
[1]
## KMo3 (PBE)

Data for a geometry-optimized KMo3 structure.

The structure in POSCAR format:
```
KMo3
1.0
-0.8761 -3.5605 2.2605
2.5145 -1.0973 -0.7538
3.9821 2.8336 6.0065
K Mo
1 3
direct
0.0000 0.0000 0.0000
0.5000 0.8195 0.6448
0.0000 0.5000 0.5000
0.5000 0.1805 0.3552
```

energy relative to the elements = 3.5 eV per formula unit
space-group type = P2/m
M_tot = 0.00 μB/cell

=====

[2]
## Ho2Sc3Tl4 (PBE)

Data for a geometry-optimized Ho2Sc3Tl4 structure.

The structure in POSCAR format:
```
Ho2Sc3Tl4
1.0
6.7769 0.0000 0.0000
0.0000 8.7530 0.0000
-3.3884 0.0000 7.9856
Ho Sc Tl
4 6 8
direct
0.1136 0.5772 0.2272
0.8864 0.4228 0.7728
0.3864 0.0772 0.7728
0.6136 0.9228 0.2272
0.0000 0.0000 0.0000
0.5000 0.5000 0.0000
0.5380 0.7500 0.5759
0.9620 0.2500 0.4241
0.4620 0.2500 0.4241
0.0380 0.7500 0.5759
0.7193 0.7500 0.9386
0.7807 0.2500 0.0614
0.2807 0.2500 0.0614
0.2193 0.7500 0.9386
0.1862 0.9539 0.3724
0.8138 0.0461 0.6276
0.3138 0.4539 0.6276
0.6862 0.5461 0.3724
```

energy relative to the elements = -1.8 eV per formula unit
space-group type = Cmce
M_tot = 0.00 μB/cell

=====

> What is the M_tot in the first record?

0.00 μB/cell

=====

> Number 1 is which compound?

KMo3
└──

-- Written answer --
Data for a geometry-optimized KMo3 structure.
Data for a geometry-optimized Ho2Sc3Tl4 structure.